**Source:**
<<<
Entry 1:
A plane-wave DFT calculation with GGA-PBE was carried out for an optimized crystal structure of Mg3Ga.

Cell and atoms, written as POSCAR:
```
Mg3Ga
1.0
4.8947 0.0000 0.0000
2.4474 4.2390 0.0000
2.4474 1.4130 3.9965
Ga Mg
1 3
direct
0.2500 0.2500 0.2500
0.7500 0.7500 0.7500
0.0000 0.0000 0.0000
0.5000 0.5000 0.5000
```

Entry 2:
A plane-wave DFT calculation with GGA-PBE was carried out for an optimized crystal structure of Mg2Ga13.

Cell and atoms, written as POSCAR:
```
Mg2Ga13
1.0
-0.1498 -6.2732 4.0141
3.4149 -6.1198 -2.5249
7.0811 -2.1540 3.8097
Ga Mg
13 2
direct
0.2623 0.8807 0.5947
0.7377 0.7377 0.4053
0.5133 0.1437 0.8297
0.1193 0.7377 0.4053
0.2623 0.2623 0.5947
0.4867 0.4867 0.1703
0.8807 0.2623 0.5947
0.5000 0.5000 0.5000
0.4867 0.8563 0.1703
0.1437 0.5133 0.8297
0.7377 0.1193 0.4053
0.8563 0.4867 0.1703
0.5133 0.5133 0.8297
0.7440 0.7440 0.7681
0.2560 0.2560 0.2319
```

Entry 3:
A plane-wave DFT calculation with GGA-PBE was carried out for an optimized crystal structure of Mg2Ga3.

Cell and atoms, written as POSCAR:
```
Mg2Ga3
1.0
5.3358 0.0000 0.0000
2.6679 4.6210 0.0000
2.6679 1.5403 8.3320
Ga Mg
6 4
direct
0.2506 0.2494 0.7500
0.7500 0.2506 0.7500
0.7506 0.2500 0.2500
0.7494 0.7506 0.2500
0.2500 0.7494 0.2500
0.2494 0.7500 0.7500
0.3139 0.3139 0.0584
0.6861 0.6861 0.9416
0.8139 0.8139 0.5584
0.1861 0.1861 0.4416
```

Entry 4:
A plane-wave DFT calculation with GGA-PBE was carried out for an optimized crystal structure of Mg4Ga.

Cell and atoms, written as POSCAR:
```
Mg4Ga
1.0
-0.4681 1.1500 -4.9533
-5.0742 -0.4299 0.3797
-0.3315 4.9568 1.1822
Ga Mg
1 4
direct
0.5000 0.5000 0.5000
0.0000 0.5000 0.5000
0.0000 0.0000 0.0000
0.5000 0.5000 0.0000
0.5000 0.0000 0.5000
```

Entry 5:
A plane-wave DFT calculation with GGA-PBE was carried out for an optimized crystal structure of Mg2Ga13.

Cell and atoms, written as POSCAR:
```
Mg2Ga13
1.0
1.6034 1.0426 7.4279
-3.0089 -4.6928 5.2684
4.3365 -4.8840 3.7096
Ga Mg
13 2
direct
0.9829 0.3442 0.6899
0.0171 0.6558 0.3101
0.0171 0.0171 0.3101
0.5000 0.5000 0.5000
0.3820 0.7556 0.1068
0.2444 0.6180 0.8932
0.2444 0.2444 0.8932
0.7556 0.7556 0.1068
0.6558 0.0171 0.3101
0.9829 0.9829 0.6899
0.3442 0.9829 0.6899
0.6180 0.2444 0.8932
0.7556 0.3820 0.1068
0.7611 0.7611 0.7166
0.2389 0.2389 0.2834
```

Entry 6:
A plane-wave DFT calculation with GGA-PBE was carried out for an optimized crystal structure of MgGa3.

Cell and atoms, written as POSCAR:
```
MgGa3
1.0
3.0248 0.0000 0.0000
-1.5124 2.6196 0.0000
0.0000 0.0000 9.7665
Ga Mg
3 1
direct
0.6667 0.3333 0.7492
0.0000 0.0000 0.0000
0.6667 0.3333 0.2508
0.0000 0.0000 0.5000
```

Entry 7:
A plane-wave DFT calculation with GGA-PBE was carried out for an optimized crystal structure of MgGa6.

Cell and atoms, written as POSCAR:
```
MgGa6
1.0
6.0329 0.0000 0.0000
0.0000 6.0329 0.0000
0.0000 0.0000 7.4997
Ga Mg
12 2
direct
0.1669 0.6669 0.6454
0.5000 0.5000 0.1661
0.1669 0.3331 0.3546
0.5000 0.5000 0.8339
0.0000 0.0000 0.1661
0.3331 0.1669 0.6454
0.0000 0.0000 0.8339
0.3331 0.8331 0.3546
0.8331 0.3331 0.6454
0.6669 0.8331 0.6454
0.6669 0.1669 0.3546
0.8331 0.6669 0.3546
0.0000 0.5000 0.0000
0.5000 0.0000 0.0000
```

Entry 8:
A plane-wave DFT calculation with GGA-PBE was carried out for an optimized crystal structure of MgGa3.

Cell and atoms, written as POSCAR:
```
MgGa3
1.0
-0.8101 2.1825 -2.2276
1.6036 -2.9814 -3.5727
-4.9239 -1.2752 2.9056
Ga Mg
3 1
direct
0.2449 0.5964 0.4930
0.9961 0.9784 0.9927
0.5044 0.4849 0.0075
0.7546 0.1070 0.5068
```

Entry 9:
A plane-wave DFT calculation with GGA-PBE was carried out for an optimized crystal structure of MgGa3.

Cell and atoms, written as POSCAR:
```
MgGa3
1.0
-3.4968 -3.2582 1.5904
1.7470 -3.8574 -4.0614
4.2033 -3.8931 1.2661
Mg Ga
2 6
direct
0.7500 0.6666 0.6666
0.2500 0.3334 0.3334
0.7500 0.6739 0.1630
0.7500 0.1631 0.1631
0.2500 0.8369 0.8369
0.2500 0.3261 0.8370
0.7500 0.1630 0.6739
0.2500 0.8370 0.3261
```

Entry 10:
>>>

**To do:**
The reader should repeat everything earlier on with every line break kept.

**Worked solution:**
Entry 1:
A plane-wave DFT calculation with GGA-PBE was carried out for an optimized crystal structure of Mg3Ga.

Cell and atoms, written as POSCAR:
```
Mg3Ga
1.0
4.8947 0.0000 0.0000
2.4474 4.2390 0.0000
2.4474 1.4130 3.9965
Ga Mg
1 3
direct
0.2500 0.2500 0.2500
0.7500 0.7500 0.7500
0.0000 0.0000 0.0000
0.5000 0.5000 0.5000
```

Entry 2:
A plane-wave DFT calculation with GGA-PBE was carried out for an optimized crystal structure of Mg2Ga13.

Cell and atoms, written as POSCAR:
```
Mg2Ga13
1.0
-0.1498 -6.2732 4.0141
3.4149 -6.1198 -2.5249
7.0811 -2.1540 3.8097
Ga Mg
13 2
direct
0.2623 0.8807 0.5947
0.7377 0.7377 0.4053
0.5133 0.1437 0.8297
0.1193 0.7377 0.4053
0.2623 0.2623 0.5947
0.4867 0.4867 0.1703
0.8807 0.2623 0.5947
0.5000 0.5000 0.5000
0.4867 0.8563 0.1703
0.1437 0.5133 0.8297
0.7377 0.1193 0.4053
0.8563 0.4867 0.1703
0.5133 0.5133 0.8297
0.7440 0.7440 0.7681
0.2560 0.2560 0.2319
```

Entry 3:
A plane-wave DFT calculation with GGA-PBE was carried out for an optimized crystal structure of Mg2Ga3.

Cell and atoms, written as POSCAR:
```
Mg2Ga3
1.0
5.3358 0.0000 0.0000
2.6679 4.6210 0.0000
2.6679 1.5403 8.3320
Ga Mg
6 4
direct
0.2506 0.2494 0.7500
0.7500 0.2506 0.7500
0.7506 0.2500 0.2500
0.7494 0.7506 0.2500
0.2500 0.7494 0.2500
0.2494 0.7500 0.7500
0.3139 0.3139 0.0584
0.6861 0.6861 0.9416
0.8139 0.8139 0.5584
0.1861 0.1861 0.4416
```

Entry 4:
A plane-wave DFT calculation with GGA-PBE was carried out for an optimized crystal structure of Mg4Ga.

Cell and atoms, written as POSCAR:
```
Mg4Ga
1.0
-0.4681 1.1500 -4.9533
-5.0742 -0.4299 0.3797
-0.3315 4.9568 1.1822
Ga Mg
1 4
direct
0.5000 0.5000 0.5000
0.0000 0.5000 0.5000
0.0000 0.0000 0.0000
0.5000 0.5000 0.0000
0.5000 0.0000 0.5000
```

Entry 5:
A plane-wave DFT calculation with GGA-PBE was carried out for an optimized crystal structure of Mg2Ga13.

Cell and atoms, written as POSCAR:
```
Mg2Ga13
1.0
1.6034 1.0426 7.4279
-3.0089 -4.6928 5.2684
4.3365 -4.8840 3.7096
Ga Mg
13 2
direct
0.9829 0.3442 0.6899
0.0171 0.6558 0.3101
0.0171 0.0171 0.3101
0.5000 0.5000 0.5000
0.3820 0.7556 0.1068
0.2444 0.6180 0.8932
0.2444 0.2444 0.8932
0.7556 0.7556 0.1068
0.6558 0.0171 0.3101
0.9829 0.9829 0.6899
0.3442 0.9829 0.6899
0.6180 0.2444 0.8932
0.7556 0.3820 0.1068
0.7611 0.7611 0.7166
0.2389 0.2389 0.2834
```

Entry 6:
A plane-wave DFT calculation with GGA-PBE was carried out for an optimized crystal structure of MgGa3.

Cell and atoms, written as POSCAR:
```
MgGa3
1.0
3.0248 0.0000 0.0000
-1.5124 2.6196 0.0000
0.0000 0.0000 9.7665
Ga Mg
3 1
direct
0.6667 0.3333 0.7492
0.0000 0.0000 0.0000
0.6667 0.3333 0.2508
0.0000 0.0000 0.5000
```

Entry 7:
A plane-wave DFT calculation with GGA-PBE was carried out for an optimized crystal structure of MgGa6.

Cell and atoms, written as POSCAR:
```
MgGa6
1.0
6.0329 0.0000 0.0000
0.0000 6.0329 0.0000
0.0000 0.0000 7.4997
Ga Mg
12 2
direct
0.1669 0.6669 0.6454
0.5000 0.5000 0.1661
0.1669 0.3331 0.3546
0.5000 0.5000 0.8339
0.0000 0.0000 0.1661
0.3331 0.1669 0.6454
0.0000 0.0000 0.8339
0.3331 0.8331 0.3546
0.8331 0.3331 0.6454
0.6669 0.8331 0.6454
0.6669 0.1669 0.3546
0.8331 0.6669 0.3546
0.0000 0.5000 0.0000
0.5000 0.0000 0.0000
```

Entry 8:
A plane-wave DFT calculation with GGA-PBE was carried out for an optimized crystal structure of MgGa3.

Cell and atoms, written as POSCAR:
```
MgGa3
1.0
-0.8101 2.1825 -2.2276
1.6036 -2.9814 -3.5727
-4.9239 -1.2752 2.9056
Ga Mg
3 1
direct
0.2449 0.5964 0.4930
0.9961 0.9784 0.9927
0.5044 0.4849 0.0075
0.7546 0.1070 0.5068
```

Entry 9:
A plane-wave DFT calculation with GGA-PBE was carried out for an optimized crystal structure of MgGa3.

Cell and atoms, written as POSCAR:
```
MgGa3
1.0
-3.4968 -3.2582 1.5904
1.7470 -3.8574 -4.0614
4.2033 -3.8931 1.2661
Mg Ga
2 6
direct
0.7500 0.6666 0.6666
0.2500 0.3334 0.3334
0.7500 0.6739 0.1630
0.7500 0.1631 0.1631
0.2500 0.8369 0.8369
0.2500 0.3261 0.8370
0.7500 0.1630 0.6739
0.2500 0.8370 0.3261
```

Entry 10: